Request
The reader should return the lines further down from the one with "0.125 0.375" to the one with "33.67, 48" exactly.

Excerpt
1.
The following is a calculated powder XRD pattern of Ho4Hg. It was derived from a cell relaxed with PBE, using copper Kα.
Lines closer than 0.1° are merged.

Main lines, by angle (2θ = 15–90°):
2θ/deg, I (rel.)
22.99, 33
30.36, 20
31.18, 84
31.76, 100
33.32, 40
36.20, 70
37.08, 32
46.25, 17
46.39, 24
51.73, 19
58.91, 44
60.70, 22

Structural model:
```
data_Ho4Hg
_chemical_formula_sum 'Ho8 Hg2'
_cell_length_a 8.684
_cell_length_b 8.684
_cell_length_c 8.684
_cell_angle_alpha 136.63
_cell_angle_beta 136.63
_cell_angle_gamma 63.01
_space_group_name_H-M_alt 'P 1'
_space_group_IT_number 1
loop_
_space_group_symop_operation_xyz
'x,y,z'
loop_
_atom_site_label
_atom_site_type_symbol
_atom_site_fract_x
_atom_site_fract_y
_atom_site_fract_z
Ho1 Ho 0.155 0.796 0.859
Ho2 Ho 0.204 0.345 0.141
Ho3 Ho 0.296 0.937 0.641
Ho4 Ho 0.437 0.296 0.641
Ho5 Ho 0.563 0.704 0.359
Ho6 Ho 0.704 0.063 0.359
Ho7 Ho 0.796 0.655 0.859
Ho8 Ho 0.845 0.204 0.141
Hg1 Hg 0.125 0.375 0.750
Hg2 Hg 0.875 0.625 0.250
```


2.
The following is a calculated powder XRD pattern of HoHg5. It was derived from a cell relaxed with PBE, using copper Kα.
Lines closer than 0.1° are merged.

Main lines, by angle (2θ = 15–90°):
2θ/deg, I (rel.)
32.78, 25
33.67, 48
35.00, 100
35.17, 50
35.29, 43
36.03, 20
48.84, 17
51.23, 15
63.00, 19
66.00, 15
69.09, 14
71.91, 13

Structural model:
```
data_HoHg5
_chemical_formula_sum 'Ho1 Hg5'
_cell_length_a 5.145
_cell_length_b 5.145
_cell_length_c 6.456
_cell_angle_alpha 94.80
_cell_angle_beta 94.80
_cell_angle_gamma 59.46
_space_group_name_H-M_alt 'P 1'
_space_group_IT_number 1
loop_
_space_group_symop_operation_xyz
'x,y,z'
loop_
_atom_site_label
_atom_site_type_symbol
_atom_site_fract_x
_atom_site_fract_y
_atom_site_fract_z
Ho1 Ho 0.000 0.000 0.000
Hg1 Hg 0.000 0.000 0.500
Hg2 Hg 0.329 0.329 0.758
Hg3 Hg 0.340 0.340 0.242
Hg4 Hg 0.660 0.660 0.758
Hg5 Hg 0.671 0.671 0.242
```


3.
The following is a calculated powder XRD pattern of HoHg7. It was derived from a cell relaxed with PBE, using copper Kα.
Lines closer than 0.1° are merged.

Main lines, by angle (2θ = 15–90°):
2θ/deg, I (rel.)
33.57, 100
37.87, 18
39.49, 32
55.87, 24
57.07, 11
65.67, 15
67.86, 27
70.55, 12
80.94, 2
85.00, 4

Structural model:
```
data_HoHg7
_chemical_formula_sum 'Ho1 Hg7'
_cell_length_a 10.035
_cell_length_b 10.035
_cell_length_c 10.035
_cell_angle_alpha 153.71
_cell_angle_beta 153.71
_cell_angle_gamma 37.52
_space_group_name_H-M_alt 'P 1'
_space_group_IT_number 1
loop_
_space_group_symop_operation_xyz
'x,y,z'
loop_
_atom_site_label
_atom_site_type_symbol
_atom_site_fract_x
_atom_site_fract_y
_atom_site_fract_z
Ho1 Ho 0.000 0.000 0.000
Hg1 Hg 0.123 0.623 0.500
Hg2 Hg 0.251 0.251 0.000
Hg3 Hg 0.377 0.877 0.500
Hg4 Hg 0.500 0.500 0.000
Hg5 Hg 0.623 0.123 0.500
Hg6 Hg 0.749 0.749 0.000
Hg7 Hg 0.877 0.377 0.500
```


4.
The following is a calculated powder XRD pattern of Ho3Hg4. It was derived from a cell relaxed with PBE, using copper Kα.
Lines closer than 0.1° are merged.

Main lines, by angle (2θ = 15–90°):
2θ/deg, I (rel.)
24.20, 12
31.40, 100
37.35, 93
45.00, 12
49.57, 24
51.74, 15
63.68, 29
65.53, 12
67.36, 17
70.96, 9
74.47, 9
77.93, 10

Structural model:
```
data_Ho3Hg4
_chemical_formula_sum 'Ho6 Hg8'
_cell_length_a 7.802
_cell_length_b 7.802
_cell_length_c 7.802
_cell_angle_alpha 109.47
_cell_angle_beta 109.47
_cell_angle_gamma 109.47
_space_group_name_H-M_alt 'P 1'
_space_group_IT_number 1
loop_
_space_group_symop_operation_xyz
'x,y,z'
loop_
_atom_site_label
_atom_site_type_symbol
_atom_site_fract_x
_atom_site_fract_y
_atom_site_fract_z
Ho1 Ho 0.125 0.750 0.875
Ho2 Ho 0.250 0.625 0.375
Ho3 Ho 0.375 0.250 0.625
Ho4 Ho 0.625 0.375 0.250
Ho5 Ho 0.750 0.875 0.125
Ho6 Ho 0.875 0.125 0.750
Hg1 Hg 0.000 0.333 0.500
Hg2 Hg 0.000 0.833 0.500
Hg3 Hg 0.167 0.167 0.167
Hg4 Hg 0.333 0.500 0.000
Hg5 Hg 0.500 0.000 0.333
Hg6 Hg 0.500 0.000 0.833
Hg7 Hg 0.667 0.667 0.667
Hg8 Hg 0.833 0.500 0.000
```


5.

Reply
Hg1 Hg 0.125 0.375 0.750
Hg2 Hg 0.875 0.625 0.250
```


2.
The following is a calculated powder XRD pattern of HoHg5. It was derived from a cell relaxed with PBE, using copper Kα.
Lines closer than 0.1° are merged.

Main lines, by angle (2θ = 15–90°):
2θ/deg, I (rel.)
32.78, 25
33.67, 48